Recently I found a paper being presented at NeurIPS this year, entitled Neural Ordinary Differential Equations, written by Ricky Chen, Yulia Rubanova, Jesse Bettencourt, and David Duvenaud from the University of Toronto. The core idea is that certain types of neural networks are analogous to a discretized differential equation, so maybe using off-the-shelf differential equation solvers will help get better results. This led me down a bit of a rabbit hole of papers that I found very interesting, so I thought I would share a short summary/view-from-30,000 feet on this idea.
Typically, we think about neural networks as a series of discrete layers, each one taking in a previous state vector \( \mathbf{h}_n \) and producing a new state vector \( \mathbf{h}_{n+1} = F(\mathbf{h}_{n}) \). Here, let's assume that each layer is the same width (e.g. \( \mathbf{h}_{n} \) and \( \mathbf{h}_{n+1} \) have the same dimension, for every \( n \)). Note that we don't particularly care about what \(F\) looks like, but typically it's something like \(F(x) = \sigma(\sum_{i}\theta_i x_i)\), where \(\sigma\) is an activation function (e.g. relu or a sigmoid), and \(\theta\) is a vector of parameters we're learning. This core formulation has some problems - notably, adding more layers, while theoretically increasing the ability of the network to learn, can actually decrease the accuracy of it, both in training and test results.
This problem was adressed by Deep Residual Learning, from Kaiming He, Xiangyu Zhang, Shaoqing Ren, and Jian Sun out of Microsoft Reasearch. The idea in a nutshell is to learn a function of the difference between layers: \( \mathbf{h}_{n+1} = F(\mathbf{h}_n) + \mathbf{h}_n \). In the paper, they show this simple transformation in what you're learning allows the networks to keep improving as they add more layers. To me, this reminds me of delta encoding, in which you represent a stream of data as a series of changes from the previous state. This can make certain types of data much more suitable to compression (see, e.g. this article from Glenn Fiedler on compressing physics data to send over a network). It makes some kind of sense that if delta encoding can make data easier to compress, it could also make it easier to represent for a neural network.
Euler's method and residual networks
But how do residual networks relate to differential equations? Suppose we have some constant that we'll call \( \Delta t \in \mathbb{R}\). Then we can write the state update of our neural network as
\[ \begin{aligned} \mathbf{h}_{t+1} &= F(\mathbf{h}_t) + \mathbf{h}_t \\ \\ &= \frac{\Delta t}{\Delta t} F(\mathbf{h}_t) + \mathbf{h}_t \\ \\ &= \Delta t G(\mathbf{h}_t) + \mathbf{h}_t \end{aligned} \]
where now we're learning \( G(\mathbf{h}_t) = F(\mathbf{h}_t)/\Delta t + \mathbf{h}_t \). If you have experience with differential equations, this formulation looks very familiar - it is a single step of Euler's method for solving ordinary differential equations. It seems this was first noticed by Weinan E in A proposal on Machine Learning via Dynamical Systems, and expanded upon by Yiping Lu et al. in Beyond Finite Layer Neural Networks. However, Lu et al. continue to treat the network as a series of discrete steps, and use a discrete solver with fixed timesteps to come up with a novel neural network architecture. The reason for this is that we need to be able to train the networks, and it's not really clear how to "learn" a differential system. Chen, Rubanova, Bettencourt and Duvenaud solve this problem by using some clever math which enables them to compute the gradients they need for backpropagation.
Evaluating ODEs
Before we get to that, let's look at what we're trying to solve. If we consider a layer of our neural network to be doing a step of Euler's method, then we can model our system by the differential equation
\[ \frac{d \mathbf{h}(t)}{dt} = G(\mathbf{h}(t), t, \theta) \]
Here we've made explicit \(G\)'s dependency on \(t\), as well as some parameters \(\theta\) which we will train on. In this formulation, the output of our "network" is the state \(\mathbf{h}(t_1)\) at some time \(t_1\). Therefore, if we know how to describe the function \(G\), we can use any number of off-the-shelf ODE solvers to evaluate the neural network.
\[ \mathbf{h}(t_1) = \text{ODESolve}(\mathbf{h}(t_0), G, t_0, t_1, \theta) \]
There is a ton of research on different methods that can be used as our ODESolve function, but for now we'll treat it as a black box. What matters is that if you substitute in Euler's method, you get exactly the residual state update from above, with
\[ \text{ODESolve}(\mathbf{h}(t_0), G, t_0, t_1, \theta) = \mathbf{h}(t_0) + (t_1 - t_0)G(\mathbf{h}(t_0), t_0, \theta)\]
However, we don't need to limit ourselves to Euler's method, and in fact will do much better if we use more modern approaches.
Training the beast
So how to train it? Suppose we have a loss function
\[ L(h(t_1)) = L(\text{ODESolve}(\mathbf{h}(t_0), G, t_0, t_1, \theta))\]
To optimize \(L\), we require gradients with respect to its parameters \(\mathbf{h}(t)\) (the state of our system at time \(t\)), \(t\) (our "time" variable, which is sort of a continuous analog to depth), and \(\theta\), our training parameters. The adjoint method describes a way to come up with this. The adjoint method is a neat trick which uses a simple substitution of variables to make solving certain linear systems easier. Part of the reason this paper grabbed my eye is because I've seen the adjoint method before, in a completely unrelated area: fluid simulation! In this paper from McNamara et al., they make controlling a fluid simulation easier by using the adjoint method to efficiently compute some gradients with respect to user controlled parameters. That certainly sounds similar to our problem.
So what is the adjoint method? Suppose we have 2 known matrices \(A\) and \(C\), and an unknown vector \(\mathbf{u}\) and we would like to compute a product
\[\mathbf{u}^{\intercal}B \text{ such that } AB=C\]
# 1
30
Properties=species:S:1:pos:R:3:forces:R:3:mulliken_charge:R:1 method="wB97M-V/def2-TZVPD" homo_ev="-10.426 / -10.424" total_charge=+1 homo_lumo_gap_ev="6.69 / 6.68"
C 0.224690 1.207360 -3.132011 0.4 1.2 1.3 -0.81
C -0.030705 0.434094 -4.211319 0.1 -0.3 -1.6 -0.42
C -0.358562 -0.927622 -4.258852 0.2 0.4 0.3 -0.01
C -0.448859 -1.766225 -3.145241 -0.3 -1.1 -0.8 -0.30
C -0.297912 -1.456029 -1.834027 0.4 0.3 1.4 -0.83
Pb -0.173535 0.535346 -1.199378 -0.6 -1.4 -2.1 1.21
P 0.041523 2.965705 -0.333693 0.2 0.0 0.4 -0.16
H 0.546936 2.233125 -3.181978 -0.1 0.3 -0.7 0.30
H 0.086095 0.964810 -5.167690 -0.1 -0.4 0.1 0.28
H -0.482238 -1.373230 -5.236532 -0.1 0.0 0.0 0.36
H -0.294495 -2.181138 -1.044287 -0.4 -0.6 0.0 0.41
H -0.637921 -2.835518 -3.329835 0.1 0.4 -0.2 0.29
H -1.075256 3.385390 0.372836 -0.1 0.4 0.2 0.15
H 0.173280 3.846132 -1.402168 0.0 0.3 0.0 0.15
H 1.129665 3.203445 0.492924 0.1 0.6 0.3 0.15
C 2.110149 -0.546612 3.883377 0.2 -0.3 1.1 -1.17
C 1.086112 -0.469294 2.876470 -1.8 -0.4 0.0 0.85
C -0.266039 -0.805840 2.952802 -0.2 -0.4 1.1 -0.92
C -0.883780 -0.563241 1.737815 2.8 0.7 -0.2 0.41
N 0.103567 -0.093100 0.936922 0.4 0.4 0.2 -0.16
N 1.290195 -0.039716 1.650964 -1.1 0.5 -2.0 -0.15
C -2.284079 -0.737747 1.336174 -0.5 -0.2 0.3 -1.21
H 1.801571 0.064763 4.726990 0.2 0.0 0.2 0.31
H 2.179964 -1.579116 4.215199 0.3 0.0 0.2 0.31
H 3.052937 -0.212199 3.505463 0.7 0.2 -0.1 0.34
H -0.778193 -1.191795 3.817911 0.2 0.0 0.2 0.45
H 2.134202 0.317810 1.177349 -0.8 -0.5 0.6 0.22
H -2.556615 -1.788821 1.481684 -0.1 0.2 -0.1 0.32
H -2.908116 -0.134519 2.003641 0.0 -0.1 -0.2 0.35
H -2.484572 -0.456220 0.308502 0.0 0.0 -0.1 0.27



# 2
130
Properties=species:S:1:pos:R:3:forces:R:3:mulliken_charge:R:1 method="wB97M-V/def2-TZVPD" homo_ev=-9.714 homo_lumo_gap_ev=9.24
C 33.270710 -11.735683 -22.232216 -0.7 2.5 1.6 0.67
C 34.108497 -12.918741 -22.439647 1.3 -1.6 -1.6 0.09
O 33.659505 -13.371220 -23.724126 0.1 0.2 -0.7 -0.44
C 32.846082 -12.436095 -24.316463 -0.1 -2.1 1.0 0.63
O 32.450397 -12.594007 -25.418901 -0.2 0.7 -0.8 -0.54
O 32.444211 -11.551450 -23.404652 0.5 0.1 0.6 -0.36
H 33.846076 -10.821544 -22.085923 0.3 0.0 -0.4 -0.22
H 32.711641 -11.758443 -21.296787 -0.8 -0.4 -0.5 -0.14
H 34.044853 -13.787458 -21.784376 -0.4 0.4 0.4 0.30
H 35.163178 -12.680916 -22.578138 0.0 0.2 0.3 0.05
C 33.083747 -10.871353 -16.864903 -1.4 -0.2 1.0 -0.39
C 32.013779 -11.120402 -17.894596 -0.7 1.2 0.7 -0.64
O 32.668845 -10.710207 -19.125731 -0.4 -0.5 -0.3 -0.44
C 33.759326 -9.976634 -18.830332 2.2 0.2 -1.2 0.10
O 34.589558 -9.482848 -19.597269 -2.8 -1.2 1.6 -0.29
O 33.930109 -9.954099 -17.499549 0.9 0.4 0.3 0.23
H 33.525781 -11.784807 -16.467013 0.8 0.1 -0.5 0.24
H 32.591464 -10.395483 -16.016791 0.3 0.2 0.1 0.39
H 31.192259 -10.445548 -17.654234 0.1 0.6 -0.6 0.32
H 31.489056 -12.068833 -17.779579 0.9 -0.6 -1.2 0.39
C 36.194002 -12.738872 -18.165103 0.0 1.2 0.2 1.04
C 37.718543 -12.537350 -17.992821 -1.6 0.2 -0.9 0.21
O 38.193850 -13.854530 -18.385138 2.4 2.6 2.1 -0.43
We could first solve the linear system to find the unknown matrix \(B\), then compute the product, but solving the linear system could be expensive. Instead, let's solve a different problem. Let's find a vector \(\mathbf{v}\) and compute
\[\mathbf{v}^{\intercal}C \text{ such that } A^{\intercal}\mathbf{v}=\mathbf{u}\]
We can show that these are in fact the same problem:
\[\mathbf{v}^{\intercal}C = \mathbf{v}^{\intercal}AB = (A^{\intercal}\mathbf{v})^{\intercal}B = \mathbf{u}^{\intercal}B\]
Through this transformation, we've reduced the problem from solving for a matrix, and reduced it to solving for a vector. This can be a big computational win! So how do we use it to train networks? I'm not going to go into the complete details here as it's slightly involved, but Appendix B in the paper has the complete derivation. In brief, we define the adjoint state as
\[ a(t) = -\partial L / \partial \mathbf{h}(t) \]
And we can describe its dynamics via
\[ \frac{da(t)}{dt} = - a(t)^{\intercal} \frac{\partial G(\mathbf{h}(t), t, \theta)}{\partial \mathbf{h}} \]
We can compute the derivative of \(G\) with respect to \(\mathbf{h}\) already - we compute this gradient during backpropagation of traditional neural networks. With this, we can then compute \(a(t)\) by using another call to an ODE solver. There is one other derivative, \(dL/d\theta\), that can be computed similarly. The paper shows that we can wrap up all of these ODE solves into a single call to an ODE solver, which computes all the necessary gradients for training the system.
What's the point?
Why do we want to do this? According to the paper, we're able to train a model with much less memory, with fewer parameters, and we are able to backpropagate more efficiently. All of these seem like good things! Modern ODE solvers are also adaptive, and can do more work only when needed to get an accurate solution. In the paper they show an experiment where the number of function evaluations that the ODE solver does increases with the number of training epochs - effectively, the system can quickly reach a rough solution, then take more time to refine the training.

An example from the paper showing how using an ode solver can adaptively evaluate the function. Circles represent function evaluations.
I think the most interesting aspect is that treating our system like a continuous time model, allows us to predict continuous time systems. They show a way to take data which arrives at arbitrary times, rather than at fixed intervals, and they can predict the output at arbitrary future times. They test this on fairly simple synthetic data, predicting trajectories of spirals, but get really nice results. I definitely want to see more of this type of work in the future, on larger real-world problems, to see how it does. Being able to draw on the >100 years of research in solving differential equations could be very useful for a young field like deep learning, and hey, I just find the math neat.